Listing
********
# 1
A molecular structure, C5H14N2O. Source: OMol25; level of theory: the ωB97M-V functional and the def2-TZVPD basis.

```
! wB97M-V def2-TZVPD RIJCOSX def2/J DEFGRID3
* xyz 0 1
C 1.536 -1.324 1.111
C 1.151 -1.132 -1.290
C -0.269 1.206 1.659
N 0.621 -0.846 0.060
C -0.142 0.829 0.206
N 0.331 1.603 -0.703
H 0.496 2.539 -0.340
H 1.770 -2.378 0.960
H 2.450 -0.729 1.092
H 1.059 -1.222 2.085
H 2.065 -0.559 -1.440
H 1.323 -2.204 -1.398
H 0.417 -0.813 -2.027
H 0.723 1.346 2.100
H -0.828 0.457 2.221
H -0.806 2.152 1.727
C -2.331 0.481 -1.260
O -1.708 0.142 -0.056
H -0.312 -1.287 0.106
H -1.895 1.390 -1.712
H -3.402 0.678 -1.100
H -2.247 -0.329 -2.002
*
```

Summary:
LUMO energy in eV: 0.7
Energy relative to the best compared isomer or geometry (same formula, charge and spin) in eV: 3.972
HOMO energy in eV: -8.2
Energy in a.u.: -383.55475
HOMO-LUMO gap in eV: 8.943

Mulliken population analysis, charges in e, atoms 1 to 4: atom 1 (C): -0.94, atom 2 (C): -0.97, atom 3 (C): -1.65, atom 4 (N): -0.08



# 2
A single C22H16F4OS molecule. Source: OMol25; level of theory: the ωB97M-V functional and the def2-TZVPD basis.

```
! wB97M-V def2-TZVPD RIJCOSX def2/J DEFGRID3
* xyz 0 1
C -6.436 6.084 3.610
O -5.214 6.312 4.362
C -4.333 5.263 4.395
C -2.967 5.575 4.619
C -1.998 4.588 4.485
C -2.342 3.254 4.136
S -1.258 1.883 4.175
C -0.192 1.349 2.698
C -0.439 -0.097 2.326
C -1.659 -0.643 2.183
C -1.931 -2.004 1.741
C -3.262 -2.379 1.423
C -3.505 -3.653 0.931
F -4.800 -3.990 0.610
C -2.508 -4.616 0.777
C -1.209 -4.228 1.094
F -0.197 -5.151 0.954
C -0.896 -2.962 1.590
C 1.273 1.723 2.947
C 2.336 0.813 2.934
C 3.654 1.289 2.988
F 4.692 0.393 2.864
C 3.970 2.635 3.162
C 2.867 3.472 3.380
F 3.115 4.772 3.735
C 1.542 3.048 3.283
C -3.714 2.956 3.957
C -4.703 3.922 4.088
H -6.800 7.083 3.367
H -6.259 5.492 2.698
H -7.159 5.532 4.232
H -2.695 6.615 4.823
H -0.952 4.802 4.663
H -0.549 2.030 1.898
H 0.444 -0.708 2.127
H -2.543 -0.010 2.333
H -4.064 -1.653 1.554
H -2.730 -5.614 0.408
H 0.131 -2.706 1.845
H 2.174 -0.260 2.859
H 4.987 2.994 3.185
H 0.734 3.759 3.444
H -3.973 1.925 3.728
H -5.753 3.660 3.877
*
```

Summary:
LUMO energy in eV: -0.2
Energy relative to the best compared isomer or geometry (same formula, charge and spin) in eV: 0.000
Structure (SMILES): COc1ccc(S[C@H](/C=C/c2cc(F)cc(F)c2)c2cc(F)cc(F)c2)cc1
HOMO energy in eV: -8.5
Energy in a.u.: -1720.76876
HOMO-LUMO gap in eV: 8.298

Mulliken population analysis, charges in e, atoms 1 to 4: atom 1 (C): -0.83, atom 2 (O): -0.43, atom 3 (C): 0.55, atom 4 (C): -0.75



# 3
A single C8H9N2O2P molecule. Source: OMol25; level of theory: the ωB97M-V functional and the def2-TZVPD basis.

```
! wB97M-V def2-TZVPD RIJCOSX def2/J DEFGRID3
* xyz 0 1
N -2.075 1.094 0.766
C -2.128 0.020 -0.059
O -3.056 -0.792 -0.088
P -0.720 0.086 -1.603
C -0.711 -1.761 -1.772
N -1.900 -2.391 -1.726
O 0.326 -2.297 -2.003
C 0.635 0.310 -0.426
C 0.656 -0.265 0.793
C 1.540 0.136 1.792
C 2.478 1.055 1.498
C 2.564 1.675 0.233
C 1.566 1.285 -0.732
H -2.616 1.283 1.701
H -1.365 1.763 0.690
H -2.040 -3.363 -2.027
H -2.875 -1.934 -1.559
H -0.067 -0.939 1.100
H 1.694 -0.398 2.775
H 3.262 1.324 2.280
H 3.209 2.469 0.112
H 1.625 1.641 -1.746
*
```

Summary:
LUMO energy in eV: 0.5
Energy relative to the best compared isomer or geometry (same formula, charge and spin) in eV: 0.000
Structure (SMILES): NC(=O)P(C(N)=O)c1ccccc1
HOMO energy in eV: -9.1
Energy in a.u.: -911.57353
HOMO-LUMO gap in eV: 9.678

Mulliken population analysis, charges in e, atoms 1 to 4: atom 1 (N): -0.37, atom 2 (C): 0.45, atom 3 (O): -0.64, atom 4 (P): -0.13



# 4
A molecular structure, C19H14GaN4O5. Source: OMol25; level of theory: the ωB97M-V functional and the def2-TZVPD basis.

```
! wB97M-V def2-TZVPD RIJCOSX def2/J DEFGRID3
* xyz 1 1
Ga 0.046 0.380 -0.919
O 1.173 3.994 -0.021
C 1.024 2.887 -0.491
N -0.171 2.257 -0.718
C -1.179 2.583 0.281
C -0.992 1.627 1.448
C -1.380 1.913 2.746
C -1.164 0.977 3.742
C -0.565 -0.236 3.421
C -0.206 -0.460 2.111
********
To do
Echo the whole of the listing earlier on without altering anything.
Outcome
# 1
A molecular structure, C5H14N2O. Source: OMol25; level of theory: the ωB97M-V functional and the def2-TZVPD basis.

```
! wB97M-V def2-TZVPD RIJCOSX def2/J DEFGRID3
* xyz 0 1
C 1.536 -1.324 1.111
C 1.151 -1.132 -1.290
C -0.269 1.206 1.659
N 0.621 -0.846 0.060
C -0.142 0.829 0.206
N 0.331 1.603 -0.703
H 0.496 2.539 -0.340
H 1.770 -2.378 0.960
H 2.450 -0.729 1.092
H 1.059 -1.222 2.085
H 2.065 -0.559 -1.440
H 1.323 -2.204 -1.398
H 0.417 -0.813 -2.027
H 0.723 1.346 2.100
H -0.828 0.457 2.221
H -0.806 2.152 1.727
C -2.331 0.481 -1.260
O -1.708 0.142 -0.056
H -0.312 -1.287 0.106
H -1.895 1.390 -1.712
H -3.402 0.678 -1.100
H -2.247 -0.329 -2.002
*
```

Summary:
LUMO energy in eV: 0.7
Energy relative to the best compared isomer or geometry (same formula, charge and spin) in eV: 3.972
HOMO energy in eV: -8.2
Energy in a.u.: -383.55475
HOMO-LUMO gap in eV: 8.943

Mulliken population analysis, charges in e, atoms 1 to 4: atom 1 (C): -0.94, atom 2 (C): -0.97, atom 3 (C): -1.65, atom 4 (N): -0.08



# 2
A single C22H16F4OS molecule. Source: OMol25; level of theory: the ωB97M-V functional and the def2-TZVPD basis.

```
! wB97M-V def2-TZVPD RIJCOSX def2/J DEFGRID3
* xyz 0 1
C -6.436 6.084 3.610
O -5.214 6.312 4.362
C -4.333 5.263 4.395
C -2.967 5.575 4.619
C -1.998 4.588 4.485
C -2.342 3.254 4.136
S -1.258 1.883 4.175
C -0.192 1.349 2.698
C -0.439 -0.097 2.326
C -1.659 -0.643 2.183
C -1.931 -2.004 1.741
C -3.262 -2.379 1.423
C -3.505 -3.653 0.931
F -4.800 -3.990 0.610
C -2.508 -4.616 0.777
C -1.209 -4.228 1.094
F -0.197 -5.151 0.954
C -0.896 -2.962 1.590
C 1.273 1.723 2.947
C 2.336 0.813 2.934
C 3.654 1.289 2.988
F 4.692 0.393 2.864
C 3.970 2.635 3.162
C 2.867 3.472 3.380
F 3.115 4.772 3.735
C 1.542 3.048 3.283
C -3.714 2.956 3.957
C -4.703 3.922 4.088
H -6.800 7.083 3.367
H -6.259 5.492 2.698
H -7.159 5.532 4.232
H -2.695 6.615 4.823
H -0.952 4.802 4.663
H -0.549 2.030 1.898
H 0.444 -0.708 2.127
H -2.543 -0.010 2.333
H -4.064 -1.653 1.554
H -2.730 -5.614 0.408
H 0.131 -2.706 1.845
H 2.174 -0.260 2.859
H 4.987 2.994 3.185
H 0.734 3.759 3.444
H -3.973 1.925 3.728
H -5.753 3.660 3.877
*
```

Summary:
LUMO energy in eV: -0.2
Energy relative to the best compared isomer or geometry (same formula, charge and spin) in eV: 0.000
Structure (SMILES): COc1ccc(S[C@H](/C=C/c2cc(F)cc(F)c2)c2cc(F)cc(F)c2)cc1
HOMO energy in eV: -8.5
Energy in a.u.: -1720.76876
HOMO-LUMO gap in eV: 8.298

Mulliken population analysis, charges in e, atoms 1 to 4: atom 1 (C): -0.83, atom 2 (O): -0.43, atom 3 (C): 0.55, atom 4 (C): -0.75



# 3
A single C8H9N2O2P molecule. Source: OMol25; level of theory: the ωB97M-V functional and the def2-TZVPD basis.

```
! wB97M-V def2-TZVPD RIJCOSX def2/J DEFGRID3
* xyz 0 1
N -2.075 1.094 0.766
C -2.128 0.020 -0.059
O -3.056 -0.792 -0.088
P -0.720 0.086 -1.603
C -0.711 -1.761 -1.772
N -1.900 -2.391 -1.726
O 0.326 -2.297 -2.003
C 0.635 0.310 -0.426
C 0.656 -0.265 0.793
C 1.540 0.136 1.792
C 2.478 1.055 1.498
C 2.564 1.675 0.233
C 1.566 1.285 -0.732
H -2.616 1.283 1.701
H -1.365 1.763 0.690
H -2.040 -3.363 -2.027
H -2.875 -1.934 -1.559
H -0.067 -0.939 1.100
H 1.694 -0.398 2.775
H 3.262 1.324 2.280
H 3.209 2.469 0.112
H 1.625 1.641 -1.746
*
```

Summary:
LUMO energy in eV: 0.5
Energy relative to the best compared isomer or geometry (same formula, charge and spin) in eV: 0.000
Structure (SMILES): NC(=O)P(C(N)=O)c1ccccc1
HOMO energy in eV: -9.1
Energy in a.u.: -911.57353
HOMO-LUMO gap in eV: 9.678

Mulliken population analysis, charges in e, atoms 1 to 4: atom 1 (N): -0.37, atom 2 (C): 0.45, atom 3 (O): -0.64, atom 4 (P): -0.13



# 4
A molecular structure, C19H14GaN4O5. Source: OMol25; level of theory: the ωB97M-V functional and the def2-TZVPD basis.

```
! wB97M-V def2-TZVPD RIJCOSX def2/J DEFGRID3
* xyz 1 1
Ga 0.046 0.380 -0.919
O 1.173 3.994 -0.021
C 1.024 2.887 -0.491
N -0.171 2.257 -0.718
C -1.179 2.583 0.281
C -0.992 1.627 1.448
C -1.380 1.913 2.746
C -1.164 0.977 3.742
C -0.565 -0.236 3.421
C -0.206 -0.460 2.111